== Given ==
<<<
Compound: CaPmDyRu
Source: Alexandria
Functional: PBE
Structure: optimized geometry

Computed properties:
DFT formation energy: 83.3 meV per atom
Mass density: 7.5 g/cm³

```
CaPmDyRu
1.0
0.000 3.683 3.683
3.683 0.000 3.683
3.683 3.683 0.000
Ca Pm Dy Ru
1 1 1 1
direct
0.000 0.000 0.000
0.250 0.250 0.250
0.750 0.750 0.750
0.500 0.500 0.500
```

----------

No. 1
Li2HPbF6 PBE relaxed; SG = C2/c (15); Fermi-level density of states = 3.23 states/eV/cell; theoretical density = 4.5 Mg/m³; total DFT energy (no corrections) = -4.5160 eV per atom
1.0
5.674 -4.091 0.000
5.674 4.091 0.000
-2.778 0.000 5.294
Li H Pb F
4 2 2 12
direct
0.144 0.229 0.182
0.229 0.144 0.682
0.771 0.856 0.318
0.856 0.771 0.818
0.211 0.789 0.250
0.789 0.211 0.750
0.339 0.661 0.750
0.661 0.339 0.250
0.018 0.271 0.438
0.131 0.713 0.041
0.271 0.018 0.938
0.287 0.869 0.459
0.342 0.410 0.351
0.410 0.342 0.851
0.590 0.658 0.149
0.658 0.590 0.649
0.713 0.131 0.541
0.729 0.982 0.062
0.869 0.287 0.959
0.982 0.729 0.562

***

No. 2
LiH2PbF8 PBE relaxed; SG = P-1 (2); Fermi-level density of states = 1.31 states/eV/cell; theoretical density = 4.3 Mg/m³; total DFT energy (no corrections) = -3.9602 eV per atom
1.0
4.357 0.000 0.000
-1.820 4.386 0.000
-0.014 -0.049 7.393
Li H Pb F
1 2 1 8
direct
0.000 0.000 0.000
0.493 0.499 0.734
0.507 0.501 0.266
0.000 0.000 0.500
0.252 0.269 0.268
0.265 0.290 0.736
0.274 0.739 0.496
0.302 0.804 0.996
0.698 0.196 0.004
0.726 0.261 0.504
0.735 0.710 0.264
0.748 0.731 0.732

***

No. 3
LiH2PtF8 PBE relaxed; SG = P-1 (2); Fermi-level density of states = 4.48 states/eV/cell; theoretical density = 4.1 Mg/m³; total DFT energy (no corrections) = -4.1089 eV per atom
1.0
4.725 0.000 0.000
0.209 4.957 0.000
0.062 1.102 6.212
Li H Pt F
1 2 1 8
direct
0.000 0.000 0.000
0.240 0.491 0.850
0.760 0.509 0.150
0.000 0.000 0.500
0.219 0.808 0.749
0.219 0.855 0.283
0.240 0.303 0.475
0.252 0.315 0.944
0.748 0.685 0.056
0.760 0.697 0.525
0.781 0.145 0.717
0.781 0.192 0.251

***

No. 4
LiSbH2F8 PBE relaxed; SG = P-1 (2); Fermi-level density of states = 0.00 states/eV/cell; theoretical density = 3.0 Mg/m³; total DFT energy (no corrections) = -4.4954 eV per atom
1.0
4.947 0.000 0.000
-0.473 5.009 0.000
-0.001 -1.308 6.408
Li Sb H F
1 1 2 8
direct
0.000 0.000 0.000
0.000 0.000 0.500
0.239 0.545 0.850
0.761 0.455 0.150
0.187 0.152 0.285
0.211 0.237 0.730
0.250 0.715 0.951
0.254 0.739 0.486
0.746 0.261 0.514
0.750 0.285 0.049
0.789 0.763 0.270
0.813 0.848 0.715

***

No. 5
LiSbHF PBE relaxed; SG = P1 (1); Fermi-level density of states = 0.39 states/eV/cell; relative energy among the computed polymorphs = 0.247 eV/atom; theoretical density = 3.4 Mg/m³
1.0
3.010 0.000 0.000
1.189 4.388 0.000
1.354 0.678 5.540
Li Sb H F
1 1 1 1
direct
0.000 0.000 0.000
0.539 0.528 0.465
0.729 0.185 0.330
0.547 0.064 0.840

***

No. 6
LiSbHF PBE relaxed; SG = P1 (1); Fermi-level density of states = 0.53 states/eV/cell; relative energy among the computed polymorphs = 0.000 eV/atom; theoretical density = 3.5 Mg/m³
1.0
3.247 0.000 0.000
1.623 2.815 0.000
0.025 0.085 7.727
Li Sb H F
1 1 1 1
direct
0.000 0.000 0.000
0.656 0.651 0.540
0.654 0.658 0.315
0.333 0.334 0.990

***

No. 7
LiSnH2F6 PBE relaxed; SG = P2_1/c (14); Fermi-level density of states = 6.01 states/eV/cell; theoretical density = 3.5 Mg/m³; total DFT energy (no corrections) = -4.4609 eV per atom
1.0
4.536 0.000 0.000
0.000 6.061 0.000
-3.313 0.000 8.281
Li Sn H F
2 2 4 12
direct
0.000 0.000 0.000
0.000 0.500 0.500
0.500 0.000 0.500
0.500 0.500 0.000
0.400 0.091 0.823
0.400 0.409 0.323
0.600 0.591 0.677
0.600 0.909 0.177
0.094 0.695 0.944
0.094 0.805 0.444
0.267 0.168 0.898
0.267 0.332 0.398
0.432 0.514 0.734
0.432 0.986 0.234
0.568 0.014 0.766
0.568 0.486 0.266
0.733 0.668 0.602
0.733 0.832 0.102
0.906 0.195 0.556
0.906 0.305 0.056

***

No. 8
SrLiH2F PBE relaxed; SG = P4/mmm (123); Fermi-level density of states = 0.00 states/eV/cell; theoretical density = 1.9 Mg/m³; total DFT energy (no corrections) = -3.4771 eV per atom
1.0
>>>

== To do ==
Please echo the block above exactly.

== Written answer ==
Compound: CaPmDyRu
Source: Alexandria
Functional: PBE
Structure: optimized geometry

Computed properties:
DFT formation energy: 83.3 meV per atom
Mass density: 7.5 g/cm³

```
CaPmDyRu
1.0
0.000 3.683 3.683
3.683 0.000 3.683
3.683 3.683 0.000
Ca Pm Dy Ru
1 1 1 1
direct
0.000 0.000 0.000
0.250 0.250 0.250
0.750 0.750 0.750
0.500 0.500 0.500
```

----------

No. 1
Li2HPbF6 PBE relaxed; SG = C2/c (15); Fermi-level density of states = 3.23 states/eV/cell; theoretical density = 4.5 Mg/m³; total DFT energy (no corrections) = -4.5160 eV per atom
1.0
5.674 -4.091 0.000
5.674 4.091 0.000
-2.778 0.000 5.294
Li H Pb F
4 2 2 12
direct
0.144 0.229 0.182
0.229 0.144 0.682
0.771 0.856 0.318
0.856 0.771 0.818
0.211 0.789 0.250
0.789 0.211 0.750
0.339 0.661 0.750
0.661 0.339 0.250
0.018 0.271 0.438
0.131 0.713 0.041
0.271 0.018 0.938
0.287 0.869 0.459
0.342 0.410 0.351
0.410 0.342 0.851
0.590 0.658 0.149
0.658 0.590 0.649
0.713 0.131 0.541
0.729 0.982 0.062
0.869 0.287 0.959
0.982 0.729 0.562

***

No. 2
LiH2PbF8 PBE relaxed; SG = P-1 (2); Fermi-level density of states = 1.31 states/eV/cell; theoretical density = 4.3 Mg/m³; total DFT energy (no corrections) = -3.9602 eV per atom
1.0
4.357 0.000 0.000
-1.820 4.386 0.000
-0.014 -0.049 7.393
Li H Pb F
1 2 1 8
direct
0.000 0.000 0.000
0.493 0.499 0.734
0.507 0.501 0.266
0.000 0.000 0.500
0.252 0.269 0.268
0.265 0.290 0.736
0.274 0.739 0.496
0.302 0.804 0.996
0.698 0.196 0.004
0.726 0.261 0.504
0.735 0.710 0.264
0.748 0.731 0.732

***

No. 3
LiH2PtF8 PBE relaxed; SG = P-1 (2); Fermi-level density of states = 4.48 states/eV/cell; theoretical density = 4.1 Mg/m³; total DFT energy (no corrections) = -4.1089 eV per atom
1.0
4.725 0.000 0.000
0.209 4.957 0.000
0.062 1.102 6.212
Li H Pt F
1 2 1 8
direct
0.000 0.000 0.000
0.240 0.491 0.850
0.760 0.509 0.150
0.000 0.000 0.500
0.219 0.808 0.749
0.219 0.855 0.283
0.240 0.303 0.475
0.252 0.315 0.944
0.748 0.685 0.056
0.760 0.697 0.525
0.781 0.145 0.717
0.781 0.192 0.251

***

No. 4
LiSbH2F8 PBE relaxed; SG = P-1 (2); Fermi-level density of states = 0.00 states/eV/cell; theoretical density = 3.0 Mg/m³; total DFT energy (no corrections) = -4.4954 eV per atom
1.0
4.947 0.000 0.000
-0.473 5.009 0.000
-0.001 -1.308 6.408
Li Sb H F
1 1 2 8
direct
0.000 0.000 0.000
0.000 0.000 0.500
0.239 0.545 0.850
0.761 0.455 0.150
0.187 0.152 0.285
0.211 0.237 0.730
0.250 0.715 0.951
0.254 0.739 0.486
0.746 0.261 0.514
0.750 0.285 0.049
0.789 0.763 0.270
0.813 0.848 0.715

***

No. 5
LiSbHF PBE relaxed; SG = P1 (1); Fermi-level density of states = 0.39 states/eV/cell; relative energy among the computed polymorphs = 0.247 eV/atom; theoretical density = 3.4 Mg/m³
1.0
3.010 0.000 0.000
1.189 4.388 0.000
1.354 0.678 5.540
Li Sb H F
1 1 1 1
direct
0.000 0.000 0.000
0.539 0.528 0.465
0.729 0.185 0.330
0.547 0.064 0.840

***

No. 6
LiSbHF PBE relaxed; SG = P1 (1); Fermi-level density of states = 0.53 states/eV/cell; relative energy among the computed polymorphs = 0.000 eV/atom; theoretical density = 3.5 Mg/m³
1.0
3.247 0.000 0.000
1.623 2.815 0.000
0.025 0.085 7.727
Li Sb H F
1 1 1 1
direct
0.000 0.000 0.000
0.656 0.651 0.540
0.654 0.658 0.315
0.333 0.334 0.990

***

No. 7
LiSnH2F6 PBE relaxed; SG = P2_1/c (14); Fermi-level density of states = 6.01 states/eV/cell; theoretical density = 3.5 Mg/m³; total DFT energy (no corrections) = -4.4609 eV per atom
1.0
4.536 0.000 0.000
0.000 6.061 0.000
-3.313 0.000 8.281
Li Sn H F
2 2 4 12
direct
0.000 0.000 0.000
0.000 0.500 0.500
0.500 0.000 0.500
0.500 0.500 0.000
0.400 0.091 0.823
0.400 0.409 0.323
0.600 0.591 0.677
0.600 0.909 0.177
0.094 0.695 0.944
0.094 0.805 0.444
0.267 0.168 0.898
0.267 0.332 0.398
0.432 0.514 0.734
0.432 0.986 0.234
0.568 0.014 0.766
0.568 0.486 0.266
0.733 0.668 0.602
0.733 0.832 0.102
0.906 0.195 0.556
0.906 0.305 0.056

***

No. 8
SrLiH2F PBE relaxed; SG = P4/mmm (123); Fermi-level density of states = 0.00 states/eV/cell; theoretical density = 1.9 Mg/m³; total DFT energy (no corrections) = -3.4771 eV per atom
1.0